Activity:
Transcribe all of the block further below with every line break kept.

Given:
'''
(1)
Entry from Alexandria: Tl5Sn2Te5 after structural relaxation (PBE-GGA).

Density in g/cm3: 6.799
Raw total energy in eV for the cell shown: -38.5
D(E_F) in states/eV per atom: 0.11
Crystal system: monoclinic

```
Tl5Sn2Te5
1.0
-1.9385 4.4964 -1.3641
-5.6084 -4.0682 4.0302
7.9557 5.9210 8.2117
Te Tl Sn
5 5 2
Direct
0.1130 0.2260 0.4071 Te
0.0000 0.0000 0.0000 Te
0.3443 0.6887 0.2112 Te
0.8870 0.7740 0.5929 Te
0.6557 0.3113 0.7888 Te
0.2750 0.5500 0.6576 Tl
0.6590 0.3180 0.0533 Tl
0.3410 0.6820 0.9467 Tl
0.5000 0.0000 0.5000 Tl
0.7250 0.4500 0.3424 Tl
0.9478 0.8956 0.2068 Sn
0.0522 0.1044 0.7932 Sn
```

(2)
Entry from Alexandria: TmMg4Sc after structural relaxation (PBE-GGA).

Density in g/cm3: 3.527
Energy relative to the elements in eV/atom: -0.027
ΔE to the lowest computed polymorph in eV per atom: 0.003
D(E_F) in states/eV per atom: 0.96
Crystal system: monoclinic

```
TmMg4Sc
1.0
5.1281 0.0000 0.0000
2.5641 5.4565 -0.6012
2.5641 -1.1792 5.3649
Mg Sc Tm
4 1 1
Direct
0.2504 0.0831 0.4161 Mg
0.2524 0.4139 0.0814 Mg
0.7496 0.9169 0.5839 Mg
0.7476 0.5861 0.9186 Mg
0.0000 0.0000 0.0000 Sc
0.5000 0.5000 0.5000 Tm
```

(3)
Entry from Alexandria: K2ThBiTe4 after structural relaxation (PBE-GGA).

Density in g/cm3: 5.528
Raw total energy in eV for the cell shown: -33.1
D(E_F) in states/eV per atom: 0.70
Crystal system: monoclinic

```
K2ThBiTe4
1.0
4.6422 0.0000 0.0000
0.0000 8.1708 0.1460
0.0000 -2.8565 8.1030
Te Bi K Th
4 1 2 1
Direct
0.0000 0.2684 0.7858 Te
0.0000 0.7316 0.2142 Te
0.5000 0.2423 0.2075 Te
0.5000 0.7577 0.7925 Te
0.0000 0.0000 0.0000 Bi
0.0000 0.5000 0.5000 K
0.5000 0.0000 0.5000 K
0.5000 0.5000 0.0000 Th
```

(4)
Entry from Alexandria: KRbSbTe2 after structural relaxation (PBE-GGA).

Density in g/cm3: 4.263
ΔE to the lowest computed polymorph in eV per atom: 0.000
D(E_F) in states/eV per atom: 0.12
Crystal system: monoclinic

```
KRbSbTe2
1.0
-2.5105 -1.8010 -6.3606
6.5110 -5.5092 -1.0099
-5.6289 -2.8708 3.0346
Te K Sb Rb
4 2 2 2
Direct
0.2435 0.3102 0.1639 Te
0.7565 0.6898 0.8361 Te
0.7565 0.3102 0.6639 Te
0.2435 0.6898 0.3361 Te
0.4872 0.0000 0.7500 K
0.5128 0.0000 0.2500 K
0.0000 0.0000 0.5000 Sb
0.0000 0.0000 0.0000 Sb
0.2447 0.5000 0.7500 Rb
0.7553 0.5000 0.2500 Rb
```

* * * * *

No. 1
ZrCrSb2: relaxed, PBE-GGA.

Summary:
- ΔE to the lowest computed polymorph: 0.250 eV/atom

Cell lengths 7.6455, 7.6455, 6.3304 Å; angles 90.00, 90.00, 90.00 degrees
Closest atoms and distances in Å follow each position.
Space group I-42d (No. 122)
Symmetry-distinct sites (fractional):
Zr 0.0000 0.0000 0.0000 [4 per cell]  4 Sb 2.95, 2 Cr 3.17
Cr 0.0000 0.0000 0.5000 [4 per cell]  4 Sb 2.69
Sb 0.2246 0.2500 0.6250 [8 per cell]  2 Cr 2.69, 2 Zr 2.95


No. 2
ZrCrSb4: relaxed, PBE-GGA.

Cell lengths 8.6075, 8.6075, 8.6075 Å; angles 90.00, 90.00, 90.00 degrees
Closest atoms and distances in Å follow each position.
Space group F-43m (No. 216)
Symmetry-distinct sites (fractional):
Zr 0.0000 0.0000 0.0000 [4 per cell]  12 Sb 3.57, 4 Cr 3.73
Cr 0.2500 0.2500 0.7500 [4 per cell]  12 Sb 3.57, 4 Zr 3.73
Sb 0.1250 0.1250 0.3750 [16 per cell]  6 Sb 3.04


No. 3
ZrCr2Sb: relaxed, PBE-GGA.

Cell lengths 3.1710, 3.1710, 25.1702 Å; angles 90.00, 90.00, 120.00 degrees
Closest atoms and distances in Å follow each position.
Space group R3m (No. 160, hexagonal axes)
Symmetry-distinct sites (fractional):
Zr 0.0000 0.0000 0.0000 [3 per cell]  3 Cr 2.81, 3 Sb 3.10
Cr 0.0000 0.0000 0.4796 [3 per cell]  3 Cr 2.40
Cr 0.0000 0.0000 0.7514 [3 per cell]  3 Cr 2.40
Sb 0.0000 0.0000 0.2341 [3 per cell]  3 Cr 2.87, 3 Zr 3.10, 6 Sb 3.17


No. 4
ZrCr2Sb: relaxed, PBE-GGA.

Cell lengths 3.1929, 3.1929, 26.7804 Å; angles 90.00, 90.00, 120.00 degrees
Closest atoms and distances in Å follow each position.
Space group R-3m (No. 166, hexagonal axes)
Symmetry-distinct sites (fractional):
Zr 0.0000 0.0000 0.0000 [3 per cell]  6 Cr 2.89, 6 Zr 3.19
Cr 0.0000 0.0000 0.2501 [6 per cell]  3 Zr 2.89, 3 Sb 2.90, 6 Cr 3.19
'''

Here it is:
(1)
Entry from Alexandria: Tl5Sn2Te5 after structural relaxation (PBE-GGA).

Density in g/cm3: 6.799
Raw total energy in eV for the cell shown: -38.5
D(E_F) in states/eV per atom: 0.11
Crystal system: monoclinic

```
Tl5Sn2Te5
1.0
-1.9385 4.4964 -1.3641
-5.6084 -4.0682 4.0302
7.9557 5.9210 8.2117
Te Tl Sn
5 5 2
Direct
0.1130 0.2260 0.4071 Te
0.0000 0.0000 0.0000 Te
0.3443 0.6887 0.2112 Te
0.8870 0.7740 0.5929 Te
0.6557 0.3113 0.7888 Te
0.2750 0.5500 0.6576 Tl
0.6590 0.3180 0.0533 Tl
0.3410 0.6820 0.9467 Tl
0.5000 0.0000 0.5000 Tl
0.7250 0.4500 0.3424 Tl
0.9478 0.8956 0.2068 Sn
0.0522 0.1044 0.7932 Sn
```

(2)
Entry from Alexandria: TmMg4Sc after structural relaxation (PBE-GGA).

Density in g/cm3: 3.527
Energy relative to the elements in eV/atom: -0.027
ΔE to the lowest computed polymorph in eV per atom: 0.003
D(E_F) in states/eV per atom: 0.96
Crystal system: monoclinic

```
TmMg4Sc
1.0
5.1281 0.0000 0.0000
2.5641 5.4565 -0.6012
2.5641 -1.1792 5.3649
Mg Sc Tm
4 1 1
Direct
0.2504 0.0831 0.4161 Mg
0.2524 0.4139 0.0814 Mg
0.7496 0.9169 0.5839 Mg
0.7476 0.5861 0.9186 Mg
0.0000 0.0000 0.0000 Sc
0.5000 0.5000 0.5000 Tm
```

(3)
Entry from Alexandria: K2ThBiTe4 after structural relaxation (PBE-GGA).

Density in g/cm3: 5.528
Raw total energy in eV for the cell shown: -33.1
D(E_F) in states/eV per atom: 0.70
Crystal system: monoclinic

```
K2ThBiTe4
1.0
4.6422 0.0000 0.0000
0.0000 8.1708 0.1460
0.0000 -2.8565 8.1030
Te Bi K Th
4 1 2 1
Direct
0.0000 0.2684 0.7858 Te
0.0000 0.7316 0.2142 Te
0.5000 0.2423 0.2075 Te
0.5000 0.7577 0.7925 Te
0.0000 0.0000 0.0000 Bi
0.0000 0.5000 0.5000 K
0.5000 0.0000 0.5000 K
0.5000 0.5000 0.0000 Th
```

(4)
Entry from Alexandria: KRbSbTe2 after structural relaxation (PBE-GGA).

Density in g/cm3: 4.263
ΔE to the lowest computed polymorph in eV per atom: 0.000
D(E_F) in states/eV per atom: 0.12
Crystal system: monoclinic

```
KRbSbTe2
1.0
-2.5105 -1.8010 -6.3606
6.5110 -5.5092 -1.0099
-5.6289 -2.8708 3.0346
Te K Sb Rb
4 2 2 2
Direct
0.2435 0.3102 0.1639 Te
0.7565 0.6898 0.8361 Te
0.7565 0.3102 0.6639 Te
0.2435 0.6898 0.3361 Te
0.4872 0.0000 0.7500 K
0.5128 0.0000 0.2500 K
0.0000 0.0000 0.5000 Sb
0.0000 0.0000 0.0000 Sb
0.2447 0.5000 0.7500 Rb
0.7553 0.5000 0.2500 Rb
```

* * * * *

No. 1
ZrCrSb2: relaxed, PBE-GGA.

Summary:
- ΔE to the lowest computed polymorph: 0.250 eV/atom

Cell lengths 7.6455, 7.6455, 6.3304 Å; angles 90.00, 90.00, 90.00 degrees
Closest atoms and distances in Å follow each position.
Space group I-42d (No. 122)
Symmetry-distinct sites (fractional):
Zr 0.0000 0.0000 0.0000 [4 per cell]  4 Sb 2.95, 2 Cr 3.17
Cr 0.0000 0.0000 0.5000 [4 per cell]  4 Sb 2.69
Sb 0.2246 0.2500 0.6250 [8 per cell]  2 Cr 2.69, 2 Zr 2.95


No. 2
ZrCrSb4: relaxed, PBE-GGA.

Cell lengths 8.6075, 8.6075, 8.6075 Å; angles 90.00, 90.00, 90.00 degrees
Closest atoms and distances in Å follow each position.
Space group F-43m (No. 216)
Symmetry-distinct sites (fractional):
Zr 0.0000 0.0000 0.0000 [4 per cell]  12 Sb 3.57, 4 Cr 3.73
Cr 0.2500 0.2500 0.7500 [4 per cell]  12 Sb 3.57, 4 Zr 3.73
Sb 0.1250 0.1250 0.3750 [16 per cell]  6 Sb 3.04


No. 3
ZrCr2Sb: relaxed, PBE-GGA.

Cell lengths 3.1710, 3.1710, 25.1702 Å; angles 90.00, 90.00, 120.00 degrees
Closest atoms and distances in Å follow each position.
Space group R3m (No. 160, hexagonal axes)
Symmetry-distinct sites (fractional):
Zr 0.0000 0.0000 0.0000 [3 per cell]  3 Cr 2.81, 3 Sb 3.10
Cr 0.0000 0.0000 0.4796 [3 per cell]  3 Cr 2.40
Cr 0.0000 0.0000 0.7514 [3 per cell]  3 Cr 2.40
Sb 0.0000 0.0000 0.2341 [3 per cell]  3 Cr 2.87, 3 Zr 3.10, 6 Sb 3.17


No. 4
ZrCr2Sb: relaxed, PBE-GGA.

Cell lengths 3.1929, 3.1929, 26.7804 Å; angles 90.00, 90.00, 120.00 degrees
Closest atoms and distances in Å follow each position.
Space group R-3m (No. 166, hexagonal axes)
Symmetry-distinct sites (fractional):
Zr 0.0000 0.0000 0.0000 [3 per cell]  6 Cr 2.89, 6 Zr 3.19
Cr 0.0000 0.0000 0.2501 [6 per cell]  3 Zr 2.89, 3 Sb 2.90, 6 Cr 3.19